The purpose of this guide is to explain the City’s process for reviewing projects that require Planning Commission and City Council approval:
- What types of projects require Planning Commission review?
- What steps are involved in the review process?
Please take a few minutes to review this guide and if you have further questions, please contact the Community Development Department at (805) 684-5405, ext. 410.
What Requires Planning Commission Review?
All new development projects, as well as certain use changes in existing buildings, must be reviewed by the Community Development Department staff for conformance with the City’s Local Coastal Plan, General Plan, and Zoning Ordinance. In addition, the Planning Commission reviews projects that require one or more of the following types of permits or approvals:
- Conceptual Plan/Pre Application Review – Due to the City’s need to implement Coastal Plan and General Plan Policies and integrate citizen participation and environmental review, the Conceptual Plan/Pre-application Review process helps applicants understand if and how a proposal might cause public policy conflicts and/or environmental impacts.
- Annexation Proposal/Sphere of Influence Amendment – Development proposals for properties outside the City that may be annexed into the City. A Sphere of Influence boundary has been adopted to assist planning. If property outside the City is not within the sphere, the sphere also needs to be amended prior to consideration of a development proposal.
- Coastal Plan Amendment/General Plan Amendment – State law requires every coastal city and county to adopt a Coastal Plan and General Plan. Any development proposal that changes Coastal Plan or General Plan policy or map property designation requires a plan amendment.
- Rezoning and Zoning Ordinance Amendment – In considering a change of zone request, the Planning Commission determines whether the proposed zoning is consistent with the City’s General Plan, compatible with existing and proposed development in the surrounding area, and consistent with good zoning or planning practices. Some proposals may include a zoning ordinance text amendment.
- Specific Plan – State law and the City’s Coastal Plan and Zoning Map require the preparation of a Specific Plan for properties so designated on the Zone Map. Any proposal involving multiple properties or phasing could be benefited by including the preparation of a Specific Plan.
- Development Plan and Coastal Development Permit – This type of permit is required for all new developments in most zone districts. The Planning Commission reviews the design and operational characteristics of the proposed development, and may impose conditions of approval as deemed necessary. Unless otherwise exempted from the State Coastal Act, any land use activity that fits within the definition of “development” requires a Coastal Development Permit. In Carpinteria, any entitlement for development including Development Plan, Conditional Use Permit, Grading Permit, etc. constitutes a Coastal Development Plan as well.
- Conditional Use Permit – This permit is required for land uses that cannot be readily classified as principal permitted uses in individual districts by reason of their special character or possible effect on surrounding areas or the general community. The Planning Commission may impose conditions on such projects relating to both design and operation, and will require public review of the permit to ensure compliance with conditions.
- Architectural Review – Most land use activities that result in physical design changes require architectural review. Those changes that are associated with a Development Plan or Conditional Use Permit application will require Architectural Review Board approval, in addition to Planning Commission approval.
- Tentative Subdivision, Tentative Parcel Maps, and Condominium Conversions – In conjunction with review of other permits and approvals for a development project, the Planning Commission will also review a proposed subdivision or parcel map.
- Variance – The Planning Commission may approve a variance from certain requirements of the Zoning Ordinance, if it makes specific findings regarding unique circumstances or characteristics of the property involved.
In summary, the Planning Commission reviews all of the above applications. It has final review authority for Development Plan, Coastal Development Permits, Conditional Use Permits, Architectural Review, Tentative Parcel Map, Condominium Conversions, and Variances. The Planning Commission’s decision may be appealed to the City Council or the City Council may appeal a Planning Commission decision to itself. The Planning Commission reviews and makes recommendations to the City Council for Annexations, Sphere of Influence Amendments, Coastal Plan and General Plan Amendments, Zone Changes and Zoning Text Amendments, Specific Plans, and Tentative Subdivision Maps. All of the City Council decisions, except for the Tentative Subdivision Map are subject to review and approval by the State Coastal Commission.
How does the process work?
A typical project requiring Planning Commission approval will involve the following steps:
Step 1
Designing Your Project
Early in the process of designing a project, or planning a new business in an existing building, you should consult with Community Development staff to find out what Zoning Ordinance regulations may affect your project, what type of permits may be needed, and what fees are required. Copies of Zoning Ordinances, zoning maps, application forms, fee schedules, submittal requirements, and other information are available at the Community Development Department public counter.
Step 2
Pre-Application Review
Prior to formally submitting plans and application forms for your project, you may want to meet with Community Development staff to review those materials and determine whether any additional information is necessary. You can schedule such a meeting by calling the Community Development Department at (805) 684-5405, ext. 410.
Step 3
Filing Your Application
The completed application should be submitted at the Community Development Department public counter. A staff person will review the application to make sure all required materials are provided. An incomplete application WILL NOT be accepted. You will also be required to pay all application fees at this time.
Step 4
Review of Application
Within 30 days of the application being filed, it will be reviewed by staff to determine if it is complete. If it is not complete, you will receive a letter telling you what additional information is required. If the application is found to be complete, your project will be reviewed by the City’s Environmental Review Committee.
Step 5
Environmental Review
At the time your application is filed staff will determine whether your project is required to be reviewed by the City’s Environmental Review Committee. If your project is found to be categorically exempt from environmental review requirements (as established in the California Environmental Quality Act), then no further environmental review is necessary. If the project is not exempt, then it will be reviewed by the Environmental Review Committee, which will make one of the following determinations:
- If the Committee finds that the project will not have a significant impact on the environment, then a Negative Declaration will be issued, and the project can proceed unless the Negative Declaration is appealed.
- If it is found that a previously prepared environmental impact report adequately addresses any possible environmental impacts, then a Notice of Subsequent Use is issued, and the project can proceed.
- If it is found that the project may have a significant impact on the environment, then either a Mitigated Negative Declaration will be issued, or an Environmental Impact Report (EIR) will be required. If an EIR is required, processing of the project cannot proceed until further required environmental studies are completed and approved by the Environmental Review Committee.
Step 6
Staff Review of Project
Inserted here: calculated molecules >
........
No. 1
# C27H59BNO11

A cluster of 6 separate species, C27H59BNO11 in total (the ωB97M-V functional and the def2-TZVPD basis, the Open Molecules 2025 dataset).

```
99
Properties=species:S:1:pos:R:3:lowdin_charge:R:1
C 3.366 3.354 -0.422 -0.117
C 1.923 2.897 -0.190 -0.250
C 1.242 2.477 -1.506 -0.218
C 0.233 3.498 -2.052 -0.346
C 0.011 3.204 -3.539 -0.129
B -1.214 3.534 -1.247 -0.651
N -1.015 4.171 0.190 0.028
C -1.907 2.051 -1.157 -0.148
C -3.233 2.030 -0.411 -0.306
O -3.390 0.940 0.526 -0.108
H 3.431 3.956 -1.334 0.066
H 3.751 3.964 0.396 0.047
H 4.029 2.496 -0.558 0.059
H 1.955 2.037 0.484 0.087
H 1.348 3.682 0.291 0.067
H 2.046 2.353 -2.251 0.095
H 0.783 1.489 -1.414 0.080
H 0.703 4.487 -1.952 0.115
H -0.890 3.698 -3.910 0.053
H 0.867 3.487 -4.161 0.058
H -0.146 2.128 -3.669 0.063
H -1.986 4.263 -1.932 0.083
H -1.165 5.171 0.095 0.019
H -1.727 3.880 0.855 0.009
H -2.091 1.708 -2.182 0.085
H -1.253 1.287 -0.717 0.087
H -4.067 1.910 -1.106 0.101
H -3.397 2.970 0.125 0.074
H -2.542 0.853 0.963 0.062
O 1.501 -0.581 0.328 0.111
C 1.768 -1.334 -0.563 -0.515
O 0.810 -1.599 -1.482 0.000
C 1.061 -2.360 -2.660 -0.234
C 0.982 -3.854 -2.409 -0.083
C 3.104 -2.034 -0.661 0.017
H 2.013 -2.072 -3.109 0.115
H 0.277 -2.050 -3.349 0.125
H 1.750 -4.188 -1.710 0.068
H 1.113 -4.399 -3.346 0.078
H 0.008 -4.108 -1.989 0.088
H 3.080 -2.905 -0.006 0.079
H 3.871 -1.354 -0.300 0.096
H 3.377 -2.368 -1.658 0.071
O -8.204 7.033 -0.476 0.091
C -7.841 5.887 -0.508 -0.531
O -7.912 5.162 0.625 -0.005
C -7.647 3.751 0.658 -0.235
C -6.172 3.427 0.704 -0.067
C -7.265 5.267 -1.761 0.012
H -8.145 3.258 -0.180 0.111
H -8.144 3.414 1.566 0.118
H -5.655 3.769 -0.191 0.062
H -6.015 2.351 0.785 0.085
H -5.701 3.909 1.560 0.091
H -6.214 5.548 -1.827 0.102
H -7.788 5.690 -2.614 0.087
H -7.332 4.184 -1.805 0.068
O 5.190 -4.711 -0.281 0.093
C 4.825 -5.225 0.742 -0.539
O 3.808 -6.104 0.682 -0.007
C 3.366 -6.875 1.808 -0.234
C 2.442 -6.109 2.729 -0.058
C 5.419 -4.850 2.080 0.016
H 4.222 -7.294 2.341 0.114
H 2.825 -7.704 1.357 0.101
H 2.936 -5.264 3.210 0.067
H 2.071 -6.776 3.506 0.084
H 1.585 -5.731 2.172 0.085
H 4.944 -3.927 2.412 0.099
H 6.478 -4.654 1.933 0.090
H 5.301 -5.602 2.855 0.067
O -0.279 -8.211 1.615 0.107
C -0.137 -8.454 0.449 -0.520
O 0.997 -8.021 -0.145 -0.024
C 1.317 -8.274 -1.517 -0.222
C 0.672 -7.266 -2.444 -0.051
C -1.200 -9.151 -0.367 0.016
H 1.070 -9.302 -1.785 0.109
H 2.402 -8.181 -1.558 0.125
H -0.416 -7.323 -2.408 0.078
H 0.989 -7.445 -3.472 0.088
H 0.967 -6.257 -2.160 0.041
H -1.946 -8.409 -0.651 0.098
H -1.679 -9.889 0.270 0.090
H -0.836 -9.641 -1.265 0.068
O 4.136 5.063 3.124 0.087
C 2.962 5.302 3.227 -0.535
O 2.340 5.943 2.226 0.001
C 0.942 6.268 2.259 -0.237
C 0.705 7.585 2.970 -0.065
C 2.196 4.946 4.485 0.012
H 0.361 5.449 2.676 0.103
H 0.649 6.338 1.214 0.113
H 1.009 7.543 4.018 0.066
H -0.354 7.842 2.931 0.079
H 1.275 8.379 2.488 0.079
H 2.382 5.723 5.226 0.088
H 2.596 4.009 4.861 0.087
H 1.124 4.840 4.349 0.069
```

Charge: -1
E_tot in Ha: -1971.47328
........
Back to the entry >
Following a determination that the application is complete, the project will be reviewed in detail by the Community Development Department, other City departments, and other jurisdictions having review authority. The project will be assigned a staff planner, who may contact you if questions arise regarding your application, and who will also inspect the project site.
Step 7
Architectural Review Board
Once the application has been deemed complete and an ERC recommendation has been received (if applicable), the project will be scheduled for architectural review. You must apply for Preliminary Architectural Review Board review of site plans, building elevations, landscape plans, and signage. Final review of the project by ARB will follow Planning Commission approval.
Step 8
Planning Commission Review
Following staff review and ARB recommendation of the project, a written report to the Planning Commission will be prepared, which will include a recommended action, findings, environmental document, and appropriate conditions of approval. This report will be completed at least three days prior to the Planning Commission hearing, and a copy will be sent to the applicant and any other persons listed on the application form. The Planning Commission holds public hearings on the first Monday of each month at 6:30 p.m. in the City Hall Council Chambers. All property owners within a 300-foot radius of the proposed project are sent a mailed notice of the public hearing at least 10 days prior to the meeting. The applicant and/or his/her representative should attend this hearing and will be given an opportunity to speak about the project, as will all other interested persons. The Planning Commission is reluctant to take action on a project when the applicant or his/her representative is not in attendance at the hearing. At the conclusion of the public hearing, the Planning Commission may either (1) approve the request with or without conditions; (2) deny the request; (3) continue the hearing to another date.
Step 9
Appeals to the City Council
An applicant or any other aggrieved party may file an appeal of Planning Commission decisions within 10 calendar days of the date of action. Appeal forms and appropriate fees should be filed with the City Clerk.
Step 10
City Council Review
The City Council must take final action on projects involving a change of zone, tentative subdivision maps, or amendments to the General Plan. City Council hearings are normally scheduled to be heard approximately three to four weeks after Planning Commission action.
Step 11
Appeals to the Coastal Commission
Any project within the coastal appeals overlay district can be appealed to the Coastal Commission. For specific appeal procedures contact the Commission office at 641-0142.
Step 12
Plan Check and Building Permits
Following ALL planning approvals, the applicant may submit a building permit application, working drawings, and support documents (such as soils reports, structural and/or energy calculations, etc.) to the Building Department for plan check. The working drawing will be checked by the Community Development Department for conformance with all zoning requirements and conditions of approval, and will also be reviewed by all appropriate departments or jurisdictions for conformance with applicable codes. When this process is completed, a permit may be issued.
In order to better assist you, the following is a summary of State Law regarding who is legally qualified to prepare plans for various types of buildings. You must have your building plans prepared by the individuals qualified to prepare them and all necessary professional stamps and license numbers must be noted on the plans submitted or the plans WILL NOT be accepted.
- Structural engineers may design buildings of any type.
- Civil engineers may design any building except hospitals or schools.
- Architects may design any building except for the structural portion of a hospital.
- Unlicensed persons MAY NOT design any component that affects the safety of any building or its occupants, including but not limited to structural or seismic components.
- Unlicensed persons MAY ONLY design the following:
- Single family dwellings of wood frame construction not more than two (2) stories and a basement in height.
- Multiple dwellings containing no more than four (4) dwelling units of wood frame construction not more than two (2) stories and a basement in height with a maximum of four (4) dwellings per lot.
- Garages or other structures appurtenant to dwellings which are of wood frame construction and not more than two (2) stories and a basement in height.
- Agricultural and ranch buildings of wood frame construction unless the Building Official having jurisdiction deems that an undue risk to the public health, safety, or welfare is involved.
- Non-structural storefronts, interior alterations or additions, fixtures, cabinet work, furniture, or work necessary to provide for their installation.
- Non-structural alterations or additions to any building necessary to or attendant upon the installation of such storefronts, interior alterations or additions, fixtures, cabinet work, furniture, appliances, or equipment.
Where to File
Carpinteria City Hall
Community Development Department
5775 Carpinteria Avenue
____________
No. 1
Entry from the OMol25 dataset: a 7-piece molecular cluster, C22H61ClO29P8 overall (ωB97M-V with the def2-TZVPD basis set).

The geometry in XYZ format:
```
121
C22H61ClO29P8, DFT ωB97M-V with the def2-TZVPD basis set
Cl -2.891 -6.994 -2.103
P 1.444 5.201 -0.144
P -4.913 3.627 -3.231
P -2.054 4.066 7.605
P 4.815 -0.211 3.605
P -0.593 0.620 1.861
P -2.618 -3.998 -0.729
P 2.050 -6.508 -8.597
P -0.322 -3.299 -2.398
O -2.111 0.087 2.040
O -5.699 2.216 -3.185
O 0.592 4.363 -1.217
O -3.673 3.925 7.658
O 2.808 -5.257 -8.671
O -3.474 2.918 -3.053
O 4.798 -1.173 4.924
O -1.861 3.620 9.158
O 3.471 0.177 3.121
O -0.837 5.122 7.726
O -1.015 -6.086 -3.600
O -3.084 -2.748 -1.370
O -0.186 0.699 0.432
O 5.108 1.130 4.533
O -1.013 2.215 1.973
O 2.260 4.911 1.206
O 0.026 -0.877 2.167
O 2.786 5.331 -1.054
O -0.205 -3.356 -4.049
O 0.760 6.489 0.017
O -1.625 3.050 6.640
O 0.903 -6.522 -7.458
O -4.404 4.747 -4.294
O 3.036 -7.550 -7.835
O 5.027 -1.562 2.680
O -5.360 4.391 -2.065
O -0.535 -5.899 -1.406
O 0.870 -7.049 -2.776
O 0.970 -6.467 -9.797
C -3.094 0.536 1.097
C 2.383 3.528 1.630
C -4.118 4.344 -5.645
C 2.685 -8.946 -7.805
C -2.137 -5.552 -2.920
C 3.843 -0.900 5.948
C -2.159 2.272 9.515
C 2.737 6.183 -2.193
C 1.197 -5.913 -6.197
C -4.442 4.931 8.344
C 0.596 -7.697 -10.454
C -2.434 3.631 -2.376
C 6.352 -1.948 2.252
C -6.066 1.569 -4.421
C -1.125 6.517 7.974
C -1.308 2.793 3.268
C -0.124 -6.438 -2.609
C 1.389 -3.642 -1.845
C 6.430 1.356 5.059
C 0.532 -1.187 3.488
C -1.331 -4.783 -1.839
C 0.954 2.961 -1.374
H 7.123 1.617 4.260
H 6.998 -2.140 3.112
H -1.407 1.944 10.229
H 0.401 2.564 -2.219
H 3.373 -9.443 -7.127
H -4.422 5.872 7.794
H 1.928 6.909 -2.115
H 2.964 3.496 2.546
H 2.024 2.861 -1.570
H -2.067 -3.718 0.536
H 2.889 2.936 0.866
H -2.049 2.200 3.805
H 0.878 -2.217 3.474
H 2.027 -5.210 -6.271
H -3.432 3.493 -5.660
H -2.857 -4.997 -3.502
H 1.373 -0.538 3.742
H 6.794 0.474 5.591
H 6.367 2.188 5.755
H 3.688 6.709 -2.257
H -2.643 0.904 0.177
H -1.706 3.790 3.101
H -0.176 7.042 8.030
H 1.396 3.108 1.827
H -6.567 0.639 -4.169
H -2.825 4.434 -1.755
H 3.468 -1.855 6.310
H 3.013 -0.303 5.571
H 4.321 -0.373 6.775
H 1.665 -9.083 -7.439
H -1.743 4.050 -3.111
H 0.173 -2.509 -4.306
H -2.144 1.615 8.646
H 6.795 -1.176 1.621
H -0.254 -1.086 4.240
H 0.311 -5.383 -5.858
H -4.063 5.087 9.356
H 1.460 -8.156 -10.937
H -3.649 5.186 -6.146
H 2.783 -9.389 -8.796
H -5.180 1.343 -5.018
H 2.603 5.587 -3.098
H -5.468 4.578 8.399
H 1.443 -6.686 -5.467
H 6.256 -2.861 1.673
H -6.751 2.194 -4.997
H -5.037 4.084 -6.173
H -1.714 6.941 7.160
H -1.655 6.640 8.920
H -3.142 2.221 9.989
H -0.142 -7.453 -11.213
H -3.746 -4.814 -0.561
H -3.693 1.329 1.546
H 1.415 -4.035 -0.831
H -1.893 2.924 -1.751
H 0.154 -8.397 -9.742
H -0.402 2.870 3.868
H 1.842 -4.356 -2.536
H -3.742 -0.304 0.858
H 0.687 2.403 -0.482
H 1.951 -2.714 -1.880
```

Computed properties:
LUMO energy	-1.60	eV
calculated total energy	-6247.93001	Ha
E_HOMO	-8.3	eV
____________
Carpinteria, CA 93013
(805) 755-4410
See hours in footer below